**Brief**
Find the line underneath that holds "all 10", then duplicate that line and all lines after it there, please.

**Data**
........
[1]
The following is a PBE-GGA calculation of an optimized crystal structure of ZnPdPt3, from Alexandria.

Results
The energy above the lowest structure with this stoichiometry comes out at 0.000 eV/atom. For the raw total energy, the calculation gives -5.1227 eV per atom. The density of states at the Fermi level comes out at 1.4616 states/eV/atom. For the total magnetization, the calculation gives 0.0 μB/cell. The formation energy comes out at -205 meV/atom.

Cell: 4.7820 4.6239 7.3081 Å, 90.00 108.13 90.00°
Closest atoms and distances in Å follow each position.
Fractional coordinates of all 10 atoms:
Zn 0.0252 0.2500 0.3886  7 Pt 2.67-2.84, 3 Pd 2.76-2.81, 2 Zn 2.88
Zn 0.9748 0.7500 0.6114  7 Pt 2.67-2.84, 3 Pd 2.76-2.81, 2 Zn 2.88
Pd 0.2323 0.2500 0.7930  3 Zn 2.76-2.81, 9 Pt 2.76-2.86
Pd 0.7677 0.7500 0.2070  3 Zn 2.76-2.81, 9 Pt 2.76-2.86
Pt 0.1720 0.7500 0.0076  1 Zn 2.75, 4 Pd 2.76-2.86, 7 Pt 2.79-2.82
Pt 0.3626 0.7500 0.4088  6 Pt 2.70-2.83, 4 Zn 2.71-2.84, 2 Pd 2.77-2.78
Pt 0.4245 0.2500 0.2023  2 Zn 2.67-2.77, 7 Pt 2.70-2.83, 3 Pd 2.83-2.84
Pt 0.5755 0.7500 0.7977  2 Zn 2.67-2.77, 7 Pt 2.70-2.83, 3 Pd 2.83-2.84
Pt 0.6374 0.2500 0.5912  6 Pt 2.70-2.83, 4 Zn 2.71-2.84, 2 Pd 2.77-2.78
Pt 0.8280 0.2500 0.9924  1 Zn 2.75, 4 Pd 2.76-2.86, 7 Pt 2.79-2.82



[2]
The following is a PBE-GGA calculation of an optimized crystal structure of Zn4PdPt15, from Alexandria.

Results
For the raw total energy, the calculation gives -5.3240 eV per atom. The density of states at the Fermi level comes out at 0.9866 states/eV/atom. For the total magnetization, the calculation gives 0.0 μB/cell. The formation energy comes out at -279 meV/atom.

Cell: 3.9226 3.9226 19.8273 Å, 90.00 90.00 90.00°
Closest atoms and distances in Å follow each position.
Fractional coordinates of all 20 atoms:
Zn 0.0000 0.0000 0.0993  12 Pt 2.77-2.79
Zn 0.0000 0.0000 0.2986  12 Pt 2.77-2.78
Zn 0.0000 0.0000 0.7014  12 Pt 2.77-2.78
Zn 0.0000 0.0000 0.9007  12 Pt 2.77-2.79
Pd 0.0000 0.0000 0.5000  12 Pt 2.77-2.82
Pt 0.0000 0.5000 0.0000  8 Pt 2.77-2.79, 4 Zn 2.78
Pt 0.0000 0.5000 0.1994  8 Pt 2.77-2.78, 4 Zn 2.78-2.79
Pt 0.0000 0.5000 0.3976  8 Pt 2.77-2.82, 2 Zn 2.77, 2 Pd 2.82
Pt 0.0000 0.5000 0.6024  8 Pt 2.77-2.82, 2 Zn 2.77, 2 Pd 2.82
Pt 0.0000 0.5000 0.8006  8 Pt 2.77-2.78, 4 Zn 2.78-2.79
Pt 0.5000 0.0000 0.0000  8 Pt 2.77-2.79, 4 Zn 2.78
Pt 0.5000 0.0000 0.1994  8 Pt 2.77-2.78, 4 Zn 2.78-2.79
Pt 0.5000 0.0000 0.3976  8 Pt 2.77-2.82, 2 Zn 2.77, 2 Pd 2.82
Pt 0.5000 0.0000 0.6024  8 Pt 2.77-2.82, 2 Zn 2.77, 2 Pd 2.82
Pt 0.5000 0.0000 0.8006  8 Pt 2.77-2.78, 4 Zn 2.78-2.79
Pt 0.5000 0.5000 0.0999  4 Zn 2.77, 8 Pt 2.78-2.79
Pt 0.5000 0.5000 0.2988  8 Pt 2.77-2.78, 4 Zn 2.77
Pt 0.5000 0.5000 0.5000  4 Pd 2.77, 8 Pt 2.82
Pt 0.5000 0.5000 0.7012  8 Pt 2.77-2.78, 4 Zn 2.77
Pt 0.5000 0.5000 0.9001  4 Zn 2.77, 8 Pt 2.78-2.79



[3]
The following is a PBE-GGA calculation of an optimized crystal structure of Zn12Pd5Pt2, from Alexandria.

Results
For the raw total energy, the calculation gives -3.0843 eV per atom. The density of states at the Fermi level comes out at 0.2522 states/eV/atom. For the total magnetization, the calculation gives 0.0 μB/cell. The formation energy comes out at -277 meV/atom.

Cell: 8.7778 8.7778 6.9815 Å, 108.40 108.40 36.90°
Closest atoms and distances in Å follow each position.
Fractional coordinates of all 19 atoms:
Zn 0.0223 0.0223 0.2081  2 Pt 2.59, 3 Zn 2.70-2.75
Zn 0.0721 0.6003 0.3162  2 Zn 2.57-2.62, 4 Pd 2.60-2.71, 1 Pt 2.60
Zn 0.1105 0.6195 0.9205  4 Pd 2.55-2.72, 4 Zn 2.63-2.83
Zn 0.3805 0.8895 0.0795  4 Pd 2.55-2.72, 4 Zn 2.63-2.83
Zn 0.3955 0.3955 0.6340  4 Zn 2.57-2.63, 2 Pd 2.57-2.78, 2 Pt 2.63
Zn 0.3997 0.9279 0.6838  2 Zn 2.57-2.62, 4 Pd 2.60-2.71, 1 Pt 2.60
Zn 0.6003 0.0721 0.3162  2 Zn 2.57-2.62, 4 Pd 2.60-2.71, 1 Pt 2.60
Zn 0.6045 0.6045 0.3660  4 Zn 2.57-2.63, 2 Pd 2.57-2.78, 2 Pt 2.63
Zn 0.6195 0.1105 0.9205  4 Pd 2.55-2.72, 4 Zn 2.63-2.83
Zn 0.8895 0.3805 0.0795  4 Pd 2.55-2.72, 4 Zn 2.63-2.83
........

**Outcome**
Fractional coordinates of all 10 atoms:
Zn 0.0252 0.2500 0.3886  7 Pt 2.67-2.84, 3 Pd 2.76-2.81, 2 Zn 2.88
Zn 0.9748 0.7500 0.6114  7 Pt 2.67-2.84, 3 Pd 2.76-2.81, 2 Zn 2.88
Pd 0.2323 0.2500 0.7930  3 Zn 2.76-2.81, 9 Pt 2.76-2.86
Pd 0.7677 0.7500 0.2070  3 Zn 2.76-2.81, 9 Pt 2.76-2.86
Pt 0.1720 0.7500 0.0076  1 Zn 2.75, 4 Pd 2.76-2.86, 7 Pt 2.79-2.82
Pt 0.3626 0.7500 0.4088  6 Pt 2.70-2.83, 4 Zn 2.71-2.84, 2 Pd 2.77-2.78
Pt 0.4245 0.2500 0.2023  2 Zn 2.67-2.77, 7 Pt 2.70-2.83, 3 Pd 2.83-2.84
Pt 0.5755 0.7500 0.7977  2 Zn 2.67-2.77, 7 Pt 2.70-2.83, 3 Pd 2.83-2.84
Pt 0.6374 0.2500 0.5912  6 Pt 2.70-2.83, 4 Zn 2.71-2.84, 2 Pd 2.77-2.78
Pt 0.8280 0.2500 0.9924  1 Zn 2.75, 4 Pd 2.76-2.86, 7 Pt 2.79-2.82



[2]
The following is a PBE-GGA calculation of an optimized crystal structure of Zn4PdPt15, from Alexandria.

Results
For the raw total energy, the calculation gives -5.3240 eV per atom. The density of states at the Fermi level comes out at 0.9866 states/eV/atom. For the total magnetization, the calculation gives 0.0 μB/cell. The formation energy comes out at -279 meV/atom.

Cell: 3.9226 3.9226 19.8273 Å, 90.00 90.00 90.00°
Closest atoms and distances in Å follow each position.
Fractional coordinates of all 20 atoms:
Zn 0.0000 0.0000 0.0993  12 Pt 2.77-2.79
Zn 0.0000 0.0000 0.2986  12 Pt 2.77-2.78
Zn 0.0000 0.0000 0.7014  12 Pt 2.77-2.78
Zn 0.0000 0.0000 0.9007  12 Pt 2.77-2.79
Pd 0.0000 0.0000 0.5000  12 Pt 2.77-2.82
Pt 0.0000 0.5000 0.0000  8 Pt 2.77-2.79, 4 Zn 2.78
Pt 0.0000 0.5000 0.1994  8 Pt 2.77-2.78, 4 Zn 2.78-2.79
Pt 0.0000 0.5000 0.3976  8 Pt 2.77-2.82, 2 Zn 2.77, 2 Pd 2.82
Pt 0.0000 0.5000 0.6024  8 Pt 2.77-2.82, 2 Zn 2.77, 2 Pd 2.82
Pt 0.0000 0.5000 0.8006  8 Pt 2.77-2.78, 4 Zn 2.78-2.79
Pt 0.5000 0.0000 0.0000  8 Pt 2.77-2.79, 4 Zn 2.78
Pt 0.5000 0.0000 0.1994  8 Pt 2.77-2.78, 4 Zn 2.78-2.79
Pt 0.5000 0.0000 0.3976  8 Pt 2.77-2.82, 2 Zn 2.77, 2 Pd 2.82
Pt 0.5000 0.0000 0.6024  8 Pt 2.77-2.82, 2 Zn 2.77, 2 Pd 2.82
Pt 0.5000 0.0000 0.8006  8 Pt 2.77-2.78, 4 Zn 2.78-2.79
Pt 0.5000 0.5000 0.0999  4 Zn 2.77, 8 Pt 2.78-2.79
Pt 0.5000 0.5000 0.2988  8 Pt 2.77-2.78, 4 Zn 2.77
Pt 0.5000 0.5000 0.5000  4 Pd 2.77, 8 Pt 2.82
Pt 0.5000 0.5000 0.7012  8 Pt 2.77-2.78, 4 Zn 2.77
Pt 0.5000 0.5000 0.9001  4 Zn 2.77, 8 Pt 2.78-2.79



[3]
The following is a PBE-GGA calculation of an optimized crystal structure of Zn12Pd5Pt2, from Alexandria.

Results
For the raw total energy, the calculation gives -3.0843 eV per atom. The density of states at the Fermi level comes out at 0.2522 states/eV/atom. For the total magnetization, the calculation gives 0.0 μB/cell. The formation energy comes out at -277 meV/atom.

Cell: 8.7778 8.7778 6.9815 Å, 108.40 108.40 36.90°
Closest atoms and distances in Å follow each position.
Fractional coordinates of all 19 atoms:
Zn 0.0223 0.0223 0.2081  2 Pt 2.59, 3 Zn 2.70-2.75
Zn 0.0721 0.6003 0.3162  2 Zn 2.57-2.62, 4 Pd 2.60-2.71, 1 Pt 2.60
Zn 0.1105 0.6195 0.9205  4 Pd 2.55-2.72, 4 Zn 2.63-2.83
Zn 0.3805 0.8895 0.0795  4 Pd 2.55-2.72, 4 Zn 2.63-2.83
Zn 0.3955 0.3955 0.6340  4 Zn 2.57-2.63, 2 Pd 2.57-2.78, 2 Pt 2.63
Zn 0.3997 0.9279 0.6838  2 Zn 2.57-2.62, 4 Pd 2.60-2.71, 1 Pt 2.60
Zn 0.6003 0.0721 0.3162  2 Zn 2.57-2.62, 4 Pd 2.60-2.71, 1 Pt 2.60
Zn 0.6045 0.6045 0.3660  4 Zn 2.57-2.63, 2 Pd 2.57-2.78, 2 Pt 2.63
Zn 0.6195 0.1105 0.9205  4 Pd 2.55-2.72, 4 Zn 2.63-2.83
Zn 0.8895 0.3805 0.0795  4 Pd 2.55-2.72, 4 Zn 2.63-2.83